Next, print the block further below without additions.

********
76
Properties=species:S:1:pos:R:3:lowdin_charge:R:1 method="wB97M-V/def2-TZVPD" spin_multiplicity=1 gap_ha="0.18602 / 0.18599" charge=0
H 6.3949 -2.6180 -1.5007 0.104
H -0.9139 5.6770 -1.5047 0.105
C 5.7423 -0.5728 -1.5424 -0.082
H 4.0780 -3.5168 -1.5308 0.112
H 1.5259 6.2524 -1.4455 0.110
N 2.2693 0.6350 -1.6653 0.061
O 0.1426 0.7693 0.7262 -0.599
C -2.6477 -3.8186 -1.5824 -0.112
Si -2.3976 0.3310 -1.7266 0.545
H 1.1619 -2.4235 0.3810 -0.011
H 2.5270 -2.6788 4.8468 0.105
C 4.2532 -2.4478 -1.5462 -0.062
H 1.2628 -2.4478 -3.6479 -0.003
H -2.7541 0.6079 -4.2202 0.014
C -1.3072 0.8943 2.8927 -0.361
H 0.4839 -2.3151 3.4774 0.109
H -1.5885 3.3240 -1.7634 0.092
H -2.9400 2.1885 -0.0171 -0.003
C 0.3087 -2.8529 -3.3271 -0.218
C 4.6768 0.2960 -1.5848 -0.012
H 0.4248 -3.9275 -3.2301 0.013
C -3.2733 1.1725 -0.2035 -0.201
C 3.1907 0.4247 3.6733 -0.070
N 2.5782 1.9093 -1.6336 0.085
C 3.3549 -0.1973 -1.6150 -0.253
C 3.3528 -0.7586 4.3760 -0.081
H -4.3468 1.2026 -0.3611 0.019
H -2.8311 2.1866 -3.4604 -0.007
C -4.0027 -4.0955 -1.5418 -0.103
C -1.9240 0.3565 4.0086 -0.076
Si -0.3359 -2.0569 -1.6708 0.516
Pd -0.0266 0.2796 -1.6170 0.412
H -5.9776 -3.2753 -1.5667 0.096
C 2.0520 0.6262 2.9132 -0.064
H -0.4246 -3.1442 0.6197 0.010
C 3.1796 -1.5876 -1.5918 -0.020
C 2.1133 4.2034 -1.5555 0.005
H 6.7503 -0.1838 -1.5249 0.103
H 2.1800 -1.9846 -1.6086 0.034
C 2.3877 -1.7510 4.3122 -0.076
C 1.6563 2.8614 -1.6537 -0.327
C -4.4740 -1.7487 -1.6728 -0.111
H -0.4129 -2.6717 -4.1166 0.017
C -0.1622 4.9078 -1.5649 -0.040
H 1.9023 1.5307 2.3430 0.111
C 0.3692 -2.9876 -0.1028 -0.228
C -4.9175 -3.0575 -1.5887 -0.102
C -3.1094 1.1434 -3.3449 -0.218
C -1.4684 2.2241 2.5560 -0.089
H -1.9327 -4.6307 -1.5666 0.098
H -5.2006 -0.9516 -1.7268 0.093
C -2.1996 -2.5057 -1.6381 -0.336
H -0.9927 2.5881 1.6577 0.099
H 3.1776 4.3804 -1.5062 0.112
H -4.3487 -5.1179 -1.4812 0.095
H -3.1627 0.7853 5.7047 0.105
H -4.1941 1.0903 -3.3439 0.012
N 0.3218 2.5773 -1.7585 0.075
C -3.1168 -1.4561 -1.6832 -0.322
C 1.2468 -1.5545 3.5528 -0.089
C 1.2021 5.2217 -1.5146 -0.061
H -2.3867 4.0806 3.1074 0.105
H -1.7986 -0.6917 4.2373 0.109
C 5.5480 -1.9480 -1.5237 -0.070
H 4.8238 1.3649 -1.6006 0.100
H -3.0902 0.5931 0.6971 0.005
C -2.8260 2.5250 4.5063 -0.082
S -0.3438 -0.1631 1.7629 0.994
H 0.7730 -3.9617 -0.3622 0.020
C 1.0872 -0.3622 2.8703 -0.355
H 4.2462 -0.9144 4.9614 0.103
C -0.5376 3.5847 -1.6979 -0.129
H -3.4121 3.1670 5.1473 0.103
C -2.2399 3.0424 3.3628 -0.068
C -2.6792 1.1836 4.8243 -0.075
H 3.9532 1.1865 3.7159 0.105

=====

Entry 1:
C21H43ClNO7S2 as an isolated structure. Source: OMol25; level of theory: ωB97M-V/def2-TZVPD.

Each line ends with the Löwdin charge.
CARTESIAN COORDINATES (ANGSTROEM)
C1 -2.059 -0.805 -0.326  -0.2456
H1 -3.680 -0.869 -1.756  0.1169
H2 0.905 3.345 1.768  0.1073
C2 5.652 -4.765 -1.045  -0.1704
H3 -2.237 3.537 -2.847  0.1043
H4 -1.956 0.278 -2.986  0.1094
N1 -2.865 0.234 2.031  -0.3809
H5 -5.938 2.150 1.760  0.0736
H6 0.256 4.744 -0.085  0.1210
C3 6.590 -5.558 -1.946  -0.2150
O1 -1.390 2.044 1.128  -0.3853
H7 -5.169 2.561 -0.753  0.1136
C4 2.479 -2.909 3.232  -0.1651
C5 1.458 3.193 0.845  -0.1745
C6 -3.480 1.825 -2.864  -0.2091
H8 0.877 -3.415 0.386  0.1166
O2 5.849 -5.865 -3.128  -0.1494
S1 -2.709 -1.189 1.297  0.5062
C7 -2.470 0.859 -2.213  -0.1910
C8 3.073 3.971 -0.695  -0.2225
C9 2.817 3.888 0.804  -0.1715
H9 2.404 -3.253 4.263  0.1087
O3 -0.496 0.620 2.900  -0.3602
H10 -7.093 3.299 1.090  0.0639
H11 4.152 -6.314 -0.905  0.1168
O4 -4.046 -1.698 1.137  -0.3236
H12 4.371 -3.632 2.376  0.1088
H13 -1.213 -0.135 -0.169  0.0829
C10 -3.249 3.295 -2.504  -0.2090
C11 -3.349 3.725 -1.028  -0.1932
C12 -5.014 3.915 0.903  -0.2704
Cl1 -2.499 2.456 3.657  0.3117
C13 -3.097 -0.119 -1.217  -0.2253
H14 2.744 4.892 1.232  0.1097
H15 -4.250 4.235 1.617  0.0922
H16 -3.879 2.196 0.389  0.0726
H17 5.895 -4.868 0.011  0.1084
O5 2.824 -3.670 1.024  -0.1686
H18 3.873 -6.414 -3.295  0.1131
C14 0.763 3.812 -0.357  -0.2011
H19 -4.499 1.508 -2.624  0.1001
********

76
Properties=species:S:1:pos:R:3:lowdin_charge:R:1 method="wB97M-V/def2-TZVPD" spin_multiplicity=1 gap_ha="0.18602 / 0.18599" charge=0
H 6.3949 -2.6180 -1.5007 0.104
H -0.9139 5.6770 -1.5047 0.105
C 5.7423 -0.5728 -1.5424 -0.082
H 4.0780 -3.5168 -1.5308 0.112
H 1.5259 6.2524 -1.4455 0.110
N 2.2693 0.6350 -1.6653 0.061
O 0.1426 0.7693 0.7262 -0.599
C -2.6477 -3.8186 -1.5824 -0.112
Si -2.3976 0.3310 -1.7266 0.545
H 1.1619 -2.4235 0.3810 -0.011
H 2.5270 -2.6788 4.8468 0.105
C 4.2532 -2.4478 -1.5462 -0.062
H 1.2628 -2.4478 -3.6479 -0.003
H -2.7541 0.6079 -4.2202 0.014
C -1.3072 0.8943 2.8927 -0.361
H 0.4839 -2.3151 3.4774 0.109
H -1.5885 3.3240 -1.7634 0.092
H -2.9400 2.1885 -0.0171 -0.003
C 0.3087 -2.8529 -3.3271 -0.218
C 4.6768 0.2960 -1.5848 -0.012
H 0.4248 -3.9275 -3.2301 0.013
C -3.2733 1.1725 -0.2035 -0.201
C 3.1907 0.4247 3.6733 -0.070
N 2.5782 1.9093 -1.6336 0.085
C 3.3549 -0.1973 -1.6150 -0.253
C 3.3528 -0.7586 4.3760 -0.081
H -4.3468 1.2026 -0.3611 0.019
H -2.8311 2.1866 -3.4604 -0.007
C -4.0027 -4.0955 -1.5418 -0.103
C -1.9240 0.3565 4.0086 -0.076
Si -0.3359 -2.0569 -1.6708 0.516
Pd -0.0266 0.2796 -1.6170 0.412
H -5.9776 -3.2753 -1.5667 0.096
C 2.0520 0.6262 2.9132 -0.064
H -0.4246 -3.1442 0.6197 0.010
C 3.1796 -1.5876 -1.5918 -0.020
C 2.1133 4.2034 -1.5555 0.005
H 6.7503 -0.1838 -1.5249 0.103
H 2.1800 -1.9846 -1.6086 0.034
C 2.3877 -1.7510 4.3122 -0.076
C 1.6563 2.8614 -1.6537 -0.327
C -4.4740 -1.7487 -1.6728 -0.111
H -0.4129 -2.6717 -4.1166 0.017
C -0.1622 4.9078 -1.5649 -0.040
H 1.9023 1.5307 2.3430 0.111
C 0.3692 -2.9876 -0.1028 -0.228
C -4.9175 -3.0575 -1.5887 -0.102
C -3.1094 1.1434 -3.3449 -0.218
C -1.4684 2.2241 2.5560 -0.089
H -1.9327 -4.6307 -1.5666 0.098
H -5.2006 -0.9516 -1.7268 0.093
C -2.1996 -2.5057 -1.6381 -0.336
H -0.9927 2.5881 1.6577 0.099
H 3.1776 4.3804 -1.5062 0.112
H -4.3487 -5.1179 -1.4812 0.095
H -3.1627 0.7853 5.7047 0.105
H -4.1941 1.0903 -3.3439 0.012
N 0.3218 2.5773 -1.7585 0.075
C -3.1168 -1.4561 -1.6832 -0.322
C 1.2468 -1.5545 3.5528 -0.089
C 1.2021 5.2217 -1.5146 -0.061
H -2.3867 4.0806 3.1074 0.105
H -1.7986 -0.6917 4.2373 0.109
C 5.5480 -1.9480 -1.5237 -0.070
H 4.8238 1.3649 -1.6006 0.100
H -3.0902 0.5931 0.6971 0.005
C -2.8260 2.5250 4.5063 -0.082
S -0.3438 -0.1631 1.7629 0.994
H 0.7730 -3.9617 -0.3622 0.020
C 1.0872 -0.3622 2.8703 -0.355
H 4.2462 -0.9144 4.9614 0.103
C -0.5376 3.5847 -1.6979 -0.129
H -3.4121 3.1670 5.1473 0.103
C -2.2399 3.0424 3.3628 -0.068
C -2.6792 1.1836 4.8243 -0.075
H 3.9532 1.1865 3.7159 0.105

=====

Entry 1:
C21H43ClNO7S2 as an isolated structure. Source: OMol25; level of theory: ωB97M-V/def2-TZVPD.

Each line ends with the Löwdin charge.
CARTESIAN COORDINATES (ANGSTROEM)
C1 -2.059 -0.805 -0.326  -0.2456
H1 -3.680 -0.869 -1.756  0.1169
H2 0.905 3.345 1.768  0.1073
C2 5.652 -4.765 -1.045  -0.1704
H3 -2.237 3.537 -2.847  0.1043
H4 -1.956 0.278 -2.986  0.1094
N1 -2.865 0.234 2.031  -0.3809
H5 -5.938 2.150 1.760  0.0736
H6 0.256 4.744 -0.085  0.1210
C3 6.590 -5.558 -1.946  -0.2150
O1 -1.390 2.044 1.128  -0.3853
H7 -5.169 2.561 -0.753  0.1136
C4 2.479 -2.909 3.232  -0.1651
C5 1.458 3.193 0.845  -0.1745
C6 -3.480 1.825 -2.864  -0.2091
H8 0.877 -3.415 0.386  0.1166
O2 5.849 -5.865 -3.128  -0.1494
S1 -2.709 -1.189 1.297  0.5062
C7 -2.470 0.859 -2.213  -0.1910
C8 3.073 3.971 -0.695  -0.2225
C9 2.817 3.888 0.804  -0.1715
H9 2.404 -3.253 4.263  0.1087
O3 -0.496 0.620 2.900  -0.3602
H10 -7.093 3.299 1.090  0.0639
H11 4.152 -6.314 -0.905  0.1168
O4 -4.046 -1.698 1.137  -0.3236
H12 4.371 -3.632 2.376  0.1088
H13 -1.213 -0.135 -0.169  0.0829
C10 -3.249 3.295 -2.504  -0.2090
C11 -3.349 3.725 -1.028  -0.1932
C12 -5.014 3.915 0.903  -0.2704
Cl1 -2.499 2.456 3.657  0.3117
C13 -3.097 -0.119 -1.217  -0.2253
H14 2.744 4.892 1.232  0.1097
H15 -4.250 4.235 1.617  0.0922
H16 -3.879 2.196 0.389  0.0726
H17 5.895 -4.868 0.011  0.1084
O5 2.824 -3.670 1.024  -0.1686
H18 3.873 -6.414 -3.295  0.1131
C14 0.763 3.812 -0.357  -0.2011
H19 -4.499 1.508 -2.624  0.1001